# Excerpt
........
(1)
! PBE+U Li3Mn2O5, relaxed; values from VASP
&SYSTEM
  ibrav = 0, nat = 20, ntyp = 3
/
ATOMIC_SPECIES
Li 6.94 Li.upf
Mn 54.94 Mn.upf
O 16.00 O.upf
CELL_PARAMETERS angstrom
2.9081 0.0440 0.6215
-0.0420 12.4538 -2.3652
0.0548 -0.0128 5.0828
ATOMIC_POSITIONS crystal
Li 0.0999 0.3001 0.8000
Li 0.5999 0.8000 0.8000
Li 0.6731 0.1000 0.6194
Li 0.5267 0.5001 0.9806
Li 0.8495 0.7138 0.2152
Li 0.3503 0.8863 0.3849
Mn 0.1876 0.6078 0.6001
Mn 0.7853 0.4005 0.4051
Mn 0.0126 0.9922 0.9998
Mn 0.4147 0.1995 0.1950
O 0.4109 0.0499 0.2627
O 0.7892 0.5501 0.3373
O 0.7333 0.2536 0.4878
O 0.4667 0.3464 0.1122
O 0.1200 0.4560 0.6873
O 0.0800 0.1440 0.9127
O 0.5962 0.6436 0.8522
O 0.6039 0.9564 0.7477
O 0.9542 0.8628 0.1076
O 0.2458 0.7372 0.4924
! VASP energy: -126.48 eV/cell
! M_tot: 0.00 μB per formula unit
! space-group type: P-1 (2)
! ΔE_f: -2122 meV per atom
! calculated volume: 9.18 Å³ per atom
! crystal system: triclinic
! excess energy over the best structure of this formula in the dataset: 2.76 kJ per mole of atoms

---

(2)
! PBE+U Sr2MgZrVO6, relaxed; values from VASP
&SYSTEM
  ibrav = 0, nat = 11, ntyp = 5
/
ATOMIC_SPECIES
Sr 87.62 Sr.upf
Mg 24.30 Mg.upf
Zr 91.22 Zr.upf
V 50.94 V.upf
O 16.00 O.upf
CELL_PARAMETERS angstrom
3.4431 -5.1051 1.0117
-5.0948 0.5078 2.8731
-2.8168 0.4062 -5.0716
ATOMIC_POSITIONS crystal
Sr 0.6361 0.8180 0.3180
Sr 0.3639 0.1820 0.6820
Mg 0.0000 0.5000 0.0000
Zr 0.0000 0.5000 0.5000
V 0.0000 0.0000 0.0000
O 0.0000 0.7465 0.2436
O 0.0000 0.2535 0.7564
O 0.4699 0.7350 0.7350
O 0.5301 0.2650 0.2650
O 0.0000 0.2538 0.2434
O 0.0000 0.7462 0.7566
! VASP energy: -77.29 eV/cell
! M_tot: 3.16 μB per formula unit
! space-group type: Immm (71)
! ΔE_f: -2801 meV per atom
! calculated volume: 14.52 Å³ per atom
! crystal system: orthorhombic
! excess energy over the best structure of this formula in the dataset: 14.48 kJ per mole of atoms

---

(3)
! PBE+U SmMn2O5, relaxed; values from VASP
&SYSTEM
  ibrav = 0, nat = 32, ntyp = 3
/
ATOMIC_SPECIES
Sm 150.36 Sm.upf
Mn 54.94 Mn.upf
O 16.00 O.upf
CELL_PARAMETERS angstrom
5.8142 0.0000 0.0000
0.0000 7.5055 0.0000
0.0000 0.0000 8.6738
ATOMIC_POSITIONS crystal
Sm 0.0000 0.3604 0.6715
Sm 0.0000 0.6396 0.3285
Sm 0.0000 0.8604 0.8285
Sm 0.0000 0.1396 0.1715
Mn 0.5000 0.0897 0.8498
Mn 0.5000 0.9103 0.1502
Mn 0.5000 0.5897 0.6502
Mn 0.5000 0.4103 0.3498
Mn 0.2555 0.5000 0.0000
Mn 0.7445 0.0000 0.5000
Mn 0.7445 0.5000 0.0000
Mn 0.2555 0.0000 0.5000
O 0.2445 0.8978 0.2932
O 0.2445 0.1022 0.7068
O 0.7555 0.3978 0.2068
O 0.7555 0.6022 0.7932
O 0.7555 0.1022 0.7068
O 0.7555 0.8978 0.2932
O 0.2445 0.6022 0.7932
O 0.2445 0.3978 0.2068
O 0.5000 0.3484 0.9336
O 0.5000 0.6516 0.0664
O 0.5000 0.8484 0.5664
O 0.5000 0.1516 0.4336
O 0.2742 0.0000 0.0000
O 0.7258 0.5000 0.5000
O 0.7258 0.0000 0.0000
O 0.2742 0.5000 0.5000
O 0.0000 0.1603 0.4456
O 0.0000 0.8397 0.5544
O 0.0000 0.6603 0.0544
O 0.0000 0.3397 0.9456
! VASP energy: -248.16 eV/cell
! space-group type: Pbam (55)
! ΔE_f: -2629 meV per atom
! calculated volume: 11.83 Å³ per atom
! crystal system: orthorhombic

---

(4)
! PBE+U Sr2GdVO6, relaxed; values from VASP
&SYSTEM
  ibrav = 0, nat = 10, ntyp = 4
/
ATOMIC_SPECIES
Sr 87.62 Sr.upf
Gd 157.25 Gd.upf
V 50.94 V.upf
O 16.00 O.upf
CELL_PARAMETERS angstrom
5.6666 1.1047 0.9072
1.8891 5.5222 0.2993
1.7637 2.2118 5.1138
ATOMIC_POSITIONS crystal
Sr 0.2500 0.2500 0.2500
Sr 0.7500 0.7500 0.7500
Gd 0.0000 0.0000 0.0000
V 0.5000 0.5000 0.5000
O 0.7299 0.2701 0.2701
O 0.2701 0.7299 0.7299
O 0.7299 0.2701 0.7299
O 0.2701 0.7299 0.2701
O 0.7299 0.7299 0.2701
O 0.2701 0.2701 0.7299
! VASP energy: -81.52 eV/cell
! M_tot: 7.00 μB per formula unit
! space-group type: Fm-3m (225)
! ΔE_f: -3111 meV per atom
! calculated volume: 14.11 Å³ per atom
! crystal system: cubic

---

(5)
! PBE+U LiNiAsO4, relaxed; values from VASP
&SYSTEM
  ibrav = 0, nat = 28, ntyp = 4
/
ATOMIC_SPECIES
Li 6.94 Li.upf
Ni 58.69 Ni.upf
As 74.92 As.upf
O 16.00 O.upf
CELL_PARAMETERS angstrom
4.0683 -4.0683 0.0000
-4.2139 -4.2139 0.0001
........

# Assignment
The reader should work out how many lines further up have the word "crystal" in them; a number is enough.

# Worked solution
8